Family Relations is a service provided by the advanced practicum students in the Department of Home and Family at BYU-Idaho. The practicum students will work directly with you face-to-face or via Zoom to identify your family related needs and will then provide free family life education specifically tailored to help you build stronger family relationships.
What the Program Entails
- You will take a 7-10 minute survey online.
(Misplaced crystal structures)
! Y2SiP, optimized geometry, DFT PBE; values from VASP
! **V**: 22.039 Å³/atom
! **Uncorrected energy**: -6.73 eV/atom
! **Magnetization**: 0.00 μB per atom
! **Space group**: Cmmm (65)
! **Formation energy without anion corrections**: -0.79 eV/atom
&SYSTEM
  ibrav = 0, nat = 8, ntyp = 3
/
ATOMIC_SPECIES
Y 88.91 Y.upf
Si 28.09 Si.upf
P 30.97 P.upf
CELL_PARAMETERS angstrom
4.393 0.000 0.000
0.000 5.363 0.000
0.000 0.000 7.484
ATOMIC_POSITIONS crystal
Y 0.000 0.000 0.238
Y 0.000 0.000 0.762
Y 0.500 0.500 0.238
Y 0.500 0.500 0.762
Si 0.000 0.500 0.500
Si 0.500 0.000 0.500
P 0.000 0.500 0.000
P 0.500 0.000 0.000



! PdRuSe3, optimized geometry, DFT PBE; values from VASP
! **V**: 22.616 Å³/atom
! **Uncorrected energy**: -4.33 eV/atom
! **Magnetization**: 0.00 μB per atom
! **Space group**: Pm-3m (221)
! **Formation energy without anion corrections**: 0.66 eV/atom
&SYSTEM
  ibrav = 0, nat = 5, ntyp = 3
/
ATOMIC_SPECIES
Pd 106.42 Pd.upf
Ru 101.07 Ru.upf
Se 78.96 Se.upf
CELL_PARAMETERS angstrom
4.836 0.000 0.000
0.000 4.836 0.000
0.000 0.000 4.836
ATOMIC_POSITIONS crystal
Pd 0.000 0.000 0.000
Ru 0.500 0.500 0.500
Se 0.000 0.500 0.500
Se 0.500 0.000 0.500
Se 0.500 0.500 0.000



! MoPb, optimized geometry, DFT PBE; values from VASP
! **V**: 23.113 Å³/atom
! **Uncorrected energy**: -6.80 eV/atom
! **Magnetization**: 0.00 μB per atom
! **Energy of formation**: 467 meV/atom
! **Space group**: P4/m (83)
&SYSTEM
  ibrav = 0, nat = 16, ntyp = 2
/
ATOMIC_SPECIES
Mo 95.94 Mo.upf
Pb 207.20 Pb.upf
CELL_PARAMETERS angstrom
10.781 0.000 0.000
0.000 10.781 0.000
0.000 0.000 3.182
ATOMIC_POSITIONS crystal
Mo 0.019 0.636 0.000
Mo 0.136 0.449 0.500
Mo 0.364 0.019 0.000
Mo 0.449 0.864 0.500
Mo 0.551 0.136 0.500
Mo 0.636 0.981 0.000
Mo 0.864 0.551 0.500
Mo 0.981 0.364 0.000
Pb 0.143 0.162 0.500
Pb 0.162 0.857 0.500
Pb 0.321 0.634 0.000
Pb 0.366 0.321 0.000
Pb 0.634 0.679 0.000
Pb 0.679 0.366 0.000
Pb 0.838 0.143 0.500
Pb 0.857 0.838 0.500

=====

No. 1
This record from Alexandria describes a relaxed structure of Li5HoCd4. The functional is PBE-GGA.

Results
space-group type: No. 123
DFT formation energy: -1.640 eV per formula unit

Cell: 3.444 3.444 16.653 Å, 90.00 90.00 90.00°
Positions (direct):
Li (0.000, 0.000, 0.000)
Li (0.000, 0.000, 0.190)
Li (0.000, 0.000, 0.371)
Li (0.000, 0.000, 0.629)
Li (0.000, 0.000, 0.810)
Ho (0.500, 0.500, 0.500)
Cd (0.500, 0.500, 0.096)
Cd (0.500, 0.500, 0.290)
Cd (0.500, 0.500, 0.710)
Cd (0.500, 0.500, 0.904)

No. 2
This record from Alexandria describes a relaxed structure of TaCr2Os. The functional is PBE-GGA.

Results
space-group type: No. 123
DFT formation energy: 0.737 eV per formula unit

Cell: 3.735 3.735 4.112 Å, 90.00 90.00 90.00°
Positions (direct):
Ta (0.000, 0.000, 0.000)
Cr (0.000, 0.500, 0.500)
Cr (0.500, 0.000, 0.500)
Os (0.500, 0.500, 0.000)

=====

Entry 1:
Material: Nd2TmPaSb4
Method: DFT, PBE-GGA
State: relaxed

Cell lengths 4.4354, 7.6569, 7.7084 Å; angles 109.38, 90.00, 90.00 degrees
- You will then have a one-on-one Zoom meeting to assess your goals and interests. (30-40 minutes)
- Then you will have up to 4 additional one-on-one Zoom sessions (40-50 minutes each)
- Possible topics that can be covered:
- Preparing for marriage
- Principles associated with a strong marriage
- Parenting
- Family Finances
- Relationships between family members
- How to manage stressful family challenges
- Home management
If interested
We appreciate your interest in Family Relations. Because of our love for children and families, we are excited about this opportunity and will do our best to create an environment that invites the Spirit into learning ways to strengthen families. Practicum students will provide support and assistance to you as you fulfill your exciting yet often challenging family responsibilities.
Governing Principles for Family Relations
- Educational services are provided by students enrolled at BYU-Idaho and will be supervised by faculty in the Department of Home and Family.
- This family life education program will be structured after the BYU-Idaho learning model, whereby practicum and participating students are both learners and teachers. The purpose of this program is to provide an exchange whereby both parties are able to learn from one another.
- Where possible, practicum students will work in pairs.
- Consistent with face-to-face classes at BYU-Idaho, practicum students will extend an invitation to open each session with a prayer.
- At the beginning of the semester, practicum students will contact participants via Zoom to identify specific family related needs and to set up future meetings. These are to occur using technology that allows for face-to-face communication.
- Teaching exchanges will occur over a 4-week period and conclude after the fourth session takes place. Due to the number of participants involved in Family Relations, the number of sessions allotted to each participant is generally limited to four sessions beyond the initial appointment, with each session generally occurring once per week for 30 to 50 minutes.
- You will need to complete a brief questionnaire in order to better help practicum students understand your needs. At the end of the questionnaire, you will need to read the agreement guidelines. If you choose to agree to the conditions, you are to acknowledge your agreement and submit your response. Shortly thereafter, you will be contacted over e-mail by practicum students to set up an initial appointment via Zoom.